[Work order]
Next, filter the rows below: keep the lines with the word "of".
[Data]
-- begin --
1.
A molecular structure, C3H7N3OS at a distorted geometry. Source: OMol25; level of theory: ωB97M-V with the def2-TZVPD basis set.

HOMO-LUMO gap, hartree: 0.3372
HOMO, eV: -8.89
ΔE to the lowest compared entry with this formula, charge and spin, eV: 7.582
E_tot, a.u.: -755.95569

```
15
C3H7N3OS, DFT ωB97M-V with the def2-TZVPD basis set
C -2.315 -0.529 -0.177
C -0.188 0.379 -0.137
C 2.421 0.200 0.212
H -3.352 -0.485 -0.893
H -1.742 -1.893 -0.236
H -2.765 -0.263 1.077
H -0.127 2.187 -0.479
H 2.537 0.450 1.217
H 3.427 0.298 -0.288
H -0.510 -1.693 0.563
N -1.436 0.630 -0.420
N 0.465 1.567 0.077
N 0.188 -0.835 0.365
O 1.747 1.348 -0.467
S 1.650 -1.360 -0.412
```

=====

2.
A molecular structure, C42H35BaBrN11O3S2. Source: OMol25; level of theory: ωB97M-V with the def2-TZVPD basis set.

HOMO-LUMO gap, hartree: 0.2040
HOMO, eV: -8.88
ΔE to the lowest compared entry with this formula, charge and spin, eV: 0.630
E_tot, a.u.: -5845.37447
Charge: +1

```
95
C42H35BaBrN11O3S2, DFT ωB97M-V with the def2-TZVPD basis set
Ba 0.022 -0.176 -0.020
C 5.975 1.650 0.259
C 5.037 0.856 0.900
C 3.863 0.517 0.244
C 3.657 0.963 -1.055
C 4.590 1.764 -1.708
C 5.750 2.107 -1.034
N 2.425 0.559 -1.655
N 2.398 0.658 -2.889
C 1.156 0.287 -3.520
C 1.224 0.234 -4.904
C 0.062 -0.096 -5.586
C -1.092 -0.350 -4.864
C -1.054 -0.280 -3.477
N 0.062 0.033 -2.816
H 6.885 1.929 0.774
H 5.211 0.513 1.911
H 3.114 -0.097 0.726
H 4.399 2.110 -2.713
H 6.485 2.736 -1.518
H 2.152 0.458 -5.408
H 0.059 -0.145 -6.666
H -2.020 -0.595 -5.360
H -1.929 -0.458 -2.860
Br -9.832 -0.353 2.455
C -8.859 1.152 1.846
C -7.676 1.496 2.481
C -6.949 2.584 2.028
C -7.424 3.317 0.950
C -8.635 3.003 0.351
C -9.350 1.898 0.785
N -6.761 4.518 0.517
N -5.574 4.518 0.181
C -4.809 3.316 0.055
C -5.247 2.202 -0.615
C -4.405 1.100 -0.802
C -3.103 1.069 -0.317
O -2.328 0.041 -0.459
C -2.622 2.255 0.365
N -1.345 2.252 0.850
C -0.907 3.323 1.469
C -1.672 4.488 1.657
C -2.952 4.512 1.184
C -3.471 3.375 0.525
H -7.327 0.914 3.323
H -6.019 2.855 2.509
H -9.008 3.622 -0.455
H -10.286 1.630 0.316
H -6.250 2.157 -1.017
H -4.770 0.229 -1.332
H 0.115 3.286 1.840
H -1.241 5.339 2.166
H -3.581 5.384 1.299
S 4.339 -5.143 5.008
N 3.943 -5.328 3.455
C 3.290 -4.232 3.097
C 2.770 -3.960 1.775
C 2.920 -4.861 0.721
C 2.440 -4.523 -0.522
C 1.833 -3.279 -0.681
N 1.676 -2.421 0.313
C 2.116 -2.739 1.540
C 1.915 -1.778 2.662
N 1.220 -0.654 2.439
C 1.032 0.214 3.418
C 1.564 0.037 4.693
C 2.277 -1.110 4.950
C 2.452 -2.046 3.931
C 3.153 -3.293 4.140
N 3.705 -3.685 5.279
H 3.419 -5.804 0.898
H 2.541 -5.190 -1.366
H 1.461 -2.971 -1.652
H 0.442 1.095 3.187
H 1.402 0.782 5.459
H 2.699 -1.304 5.927
N -3.165 -4.852 -0.613
C -2.953 -4.015 0.560
C -1.792 -3.067 0.326
O -1.258 -2.421 1.193
O -1.433 -2.947 -0.953
H -4.142 -5.064 -0.759
H -2.667 -5.732 -0.547
H -2.020 -3.580 -1.436
H -2.788 -4.542 1.502
H -3.817 -3.363 0.708
C 2.375 5.019 2.720
S 2.791 3.602 1.693
C 2.347 4.295 0.093
H 2.966 5.891 2.441
H 2.603 4.769 3.755
H 1.316 5.272 2.654
H 1.276 4.490 0.020
H 2.630 3.580 -0.678
H 2.893 5.220 -0.089
```

=====

3.
A molecular structure, C30H45BrO2P2Ru at a distorted geometry. Source: OMol25; level of theory: ωB97M-V with the def2-TZVPD basis set.

Multiplicity: 6
HOMO-LUMO gap (alpha / beta), hartree: 0.1833 / 0.0914
HOMO (alpha / beta), eV: -8.24 / -9.94
ΔE to the lowest compared entry with this formula, charge and spin, eV: 2.250
E_tot, a.u.: -4671.69397
Charge: +1

```
81
C30H45BrO2P2Ru, DFT ωB97M-V with the def2-TZVPD basis set
Ru -1.163 1.116 -0.778
C 1.068 2.316 -0.171
C 0.283 2.481 -1.392
C -0.648 3.759 0.337
C 0.530 3.157 0.828
C -0.824 3.400 -1.034
C 2.268 1.477 -0.041
H 2.495 0.952 -0.969
H 2.082 0.725 0.735
H 3.162 2.021 0.265
C 1.085 3.349 2.188
H 1.918 4.065 2.154
H 1.466 2.403 2.601
H 0.321 3.752 2.864
C -1.458 4.773 1.055
H -0.839 5.625 1.380
H -1.928 4.349 1.957
H -2.263 5.164 0.417
C -1.686 4.112 -2.022
H -1.076 4.503 -2.852
H -2.197 4.960 -1.551
H -2.446 3.432 -2.435
C 0.738 2.194 -2.776
H -0.083 2.355 -3.484
-- stop --
[Outcome]
A molecular structure, C3H7N3OS at a distorted geometry. Source: OMol25; level of theory: ωB97M-V with the def2-TZVPD basis set.
A molecular structure, C42H35BaBrN11O3S2. Source: OMol25; level of theory: ωB97M-V with the def2-TZVPD basis set.
A molecular structure, C30H45BrO2P2Ru at a distorted geometry. Source: OMol25; level of theory: ωB97M-V with the def2-TZVPD basis set.